-- Source --
=====
The following is a quantum chemistry calculation of a 3-piece molecular cluster, C4H10N2O overall, from the Open Molecules 2025 dataset.

```
17
Properties=species:S:1:pos:R:3:lowdin_charge:R:1
C -1.69694 -0.39841 0.73379 -0.22
C 0.30537 -1.56099 0.43336 -0.02
O -1.57155 0.62269 1.43929 -0.12
H -0.11269 1.43299 1.44791 0.07
H -1.86311 -0.31614 -0.35102 0.08
H -2.00284 -1.34828 1.19031 0.08
H 0.47550 -1.67924 1.50194 0.03
H 1.23036 -1.65495 -0.12201 0.01
H -0.39226 -2.27556 0.00915 0.02
C 0.38092 1.05978 -0.99818 -0.26
C 0.68024 0.67655 -2.24154 0.04
N 1.06386 0.54265 0.09982 -0.08
N 0.88306 1.23174 1.20142 0.04
H 1.44317 0.87530 1.96772 0.11
H -0.41829 1.76778 -0.79328 0.11
H 0.14025 1.07810 -3.08678 0.05
H 1.45495 -0.05401 -2.43190 0.06
```

Summary:
Frontier orbital gap (spin up / spin down)   7.952 / 7.188 eV
LUMO energy (spin up / spin down)   -0.0084 / -0.0199 hartree
HOMO energy (spin up / spin down)   -8.2 / -7.7 eV

The following is a quantum chemistry calculation of one molecule with the formula H3NOSSi, from the Open Molecules 2025 dataset.

```
7
Properties=species:S:1:pos:R:3:lowdin_charge:R:1
N -0.69386 -0.56888 1.93878 -0.13
O 2.10919 -0.47858 -0.10156 -0.60
Si -0.95959 0.39037 0.62275 0.17
S 1.20923 0.83287 0.10381 0.57
H -1.40118 1.85036 0.77074 -0.06
H -1.59676 -0.00434 -0.72733 -0.07
H 2.77079 -0.63438 0.70058 0.12
```

Summary:
Frontier orbital gap (spin up / spin down)   6.865 / 7.303 eV
LUMO energy (spin up / spin down)   -0.0916 / -0.0750 hartree
HOMO energy (spin up / spin down)   -9.4 / -9.3 eV

The following is a quantum chemistry calculation of C17H39NNbO4P2S2Si as an isolated structure, from the Open Molecules 2025 dataset.

```
67
Properties=species:S:1:pos:R:3:lowdin_charge:R:1
C 5.25263 -2.23547 1.35273 -0.08
C 4.47596 -2.50261 0.07739 -0.33
O 3.33323 -1.68866 0.03885 -0.37
C 2.66072 -1.70890 -1.24563 -0.40
Nb 1.97677 0.43237 -1.66253 1.34
S 3.15522 0.29042 -3.88392 0.18
C 0.15961 -0.43324 -2.70628 -0.31
C -1.13518 0.32096 -2.41489 -0.36
O -1.96118 -0.39400 -1.49925 -0.26
Si -3.34811 0.38327 -1.04138 0.41
C -4.47043 -0.74067 -0.05244 -0.15
C -4.33398 0.99495 -2.53529 -0.17
C -2.92451 1.89246 0.01005 -0.14
O 1.32056 2.34991 -1.89974 -0.42
C 2.26746 3.34880 -2.16916 -0.32
C 2.70202 4.06551 -0.86563 -0.47
C 2.58558 5.56328 -0.98437 -0.06
O 1.98551 3.55706 0.23950 -0.09
P 4.28956 1.11694 -0.68045 0.54
N 4.21105 1.61214 0.85609 -0.38
P 0.95203 0.27775 0.74081 0.18
S -0.01973 -1.44046 1.04663 -0.03
H 5.33018 -3.12620 1.96194 0.06
H 4.77126 -1.46646 1.94160 0.07
H 6.26010 -1.89730 1.13944 0.06
H 5.12370 -2.27529 -0.77215 0.09
H 4.17015 -3.54975 0.02530 0.12
H 3.31579 -2.08327 -2.02542 0.02
H 1.80388 -2.36607 -1.12704 0.02
H 2.45736 -0.64876 -4.53560 -0.27
H 0.00540 -1.48518 -2.49390 0.05
H 0.34351 -0.33855 -3.76892 0.01
H -1.68336 0.38100 -3.35535 0.10
H -0.98033 1.35170 -2.08483 0.09
H -5.31488 -0.13905 0.26926 0.03
H -3.99363 -1.17240 0.81546 0.01
H -4.88492 -1.54262 -0.65290 0.03
H -5.23453 1.50081 -2.21190 0.02
H -4.60038 0.16519 -3.18313 0.03
H -3.70223 1.67427 -3.09725 0.02
H -3.42656 1.88768 0.96688 0.02
H -1.85966 1.85976 0.21767 0.00
H -3.13001 2.82086 -0.50862 0.02
H 1.78077 4.08667 -2.81116 0.11
H 3.14185 3.00552 -2.72287 0.05
H 3.75990 3.84383 -0.72845 0.09
H 2.89833 5.99615 -0.04071 0.08
H 3.23118 5.93759 -1.76858 0.08
H 1.56047 5.85638 -1.18338 0.08
H 2.64052 3.41319 0.94367 0.07
H 5.18593 0.03113 -0.83676 -0.06
H 4.91905 2.15703 -1.43630 -0.06
H 4.77153 0.98821 1.42608 -0.07
H 1.96313 0.34740 1.71181 -0.11
H 0.13345 1.39257 1.02620 -0.11
C -4.78046 -4.75626 3.57572 -0.11
C -5.45468 -4.22961 4.66890 -0.11
C -5.16291 -2.94672 5.11049 -0.11
C -4.20245 -2.18880 4.45402 -0.09
C -3.53007 -2.71397 3.35941 -0.09
C -3.81727 -3.99922 2.92268 -0.09
H -5.00587 -5.75818 3.23220 0.09
H -6.20764 -4.81944 5.17699 0.09
H -5.68460 -2.53696 5.96654 0.09
H -3.97693 -1.18662 4.79529 0.10
H -2.78009 -2.12347 2.84490 0.08
H -3.28878 -4.40856 2.07164 0.10
```

Summary:
Frontier orbital gap   5.632 eV
=====

-- Assignment --
Could you retype the block above verbatim?

-- Result --
The following is a quantum chemistry calculation of a 3-piece molecular cluster, C4H10N2O overall, from the Open Molecules 2025 dataset.

```
17
Properties=species:S:1:pos:R:3:lowdin_charge:R:1
C -1.69694 -0.39841 0.73379 -0.22
C 0.30537 -1.56099 0.43336 -0.02
O -1.57155 0.62269 1.43929 -0.12
H -0.11269 1.43299 1.44791 0.07
H -1.86311 -0.31614 -0.35102 0.08
H -2.00284 -1.34828 1.19031 0.08
H 0.47550 -1.67924 1.50194 0.03
H 1.23036 -1.65495 -0.12201 0.01
H -0.39226 -2.27556 0.00915 0.02
C 0.38092 1.05978 -0.99818 -0.26
C 0.68024 0.67655 -2.24154 0.04
N 1.06386 0.54265 0.09982 -0.08
N 0.88306 1.23174 1.20142 0.04
H 1.44317 0.87530 1.96772 0.11
H -0.41829 1.76778 -0.79328 0.11
H 0.14025 1.07810 -3.08678 0.05
H 1.45495 -0.05401 -2.43190 0.06
```

Summary:
Frontier orbital gap (spin up / spin down)   7.952 / 7.188 eV
LUMO energy (spin up / spin down)   -0.0084 / -0.0199 hartree
HOMO energy (spin up / spin down)   -8.2 / -7.7 eV

The following is a quantum chemistry calculation of one molecule with the formula H3NOSSi, from the Open Molecules 2025 dataset.

```
7
Properties=species:S:1:pos:R:3:lowdin_charge:R:1
N -0.69386 -0.56888 1.93878 -0.13
O 2.10919 -0.47858 -0.10156 -0.60
Si -0.95959 0.39037 0.62275 0.17
S 1.20923 0.83287 0.10381 0.57
H -1.40118 1.85036 0.77074 -0.06
H -1.59676 -0.00434 -0.72733 -0.07
H 2.77079 -0.63438 0.70058 0.12
```

Summary:
Frontier orbital gap (spin up / spin down)   6.865 / 7.303 eV
LUMO energy (spin up / spin down)   -0.0916 / -0.0750 hartree
HOMO energy (spin up / spin down)   -9.4 / -9.3 eV

The following is a quantum chemistry calculation of C17H39NNbO4P2S2Si as an isolated structure, from the Open Molecules 2025 dataset.

```
67
Properties=species:S:1:pos:R:3:lowdin_charge:R:1
C 5.25263 -2.23547 1.35273 -0.08
C 4.47596 -2.50261 0.07739 -0.33
O 3.33323 -1.68866 0.03885 -0.37
C 2.66072 -1.70890 -1.24563 -0.40
Nb 1.97677 0.43237 -1.66253 1.34
S 3.15522 0.29042 -3.88392 0.18
C 0.15961 -0.43324 -2.70628 -0.31
C -1.13518 0.32096 -2.41489 -0.36
O -1.96118 -0.39400 -1.49925 -0.26
Si -3.34811 0.38327 -1.04138 0.41
C -4.47043 -0.74067 -0.05244 -0.15
C -4.33398 0.99495 -2.53529 -0.17
C -2.92451 1.89246 0.01005 -0.14
O 1.32056 2.34991 -1.89974 -0.42
C 2.26746 3.34880 -2.16916 -0.32
C 2.70202 4.06551 -0.86563 -0.47
C 2.58558 5.56328 -0.98437 -0.06
O 1.98551 3.55706 0.23950 -0.09
P 4.28956 1.11694 -0.68045 0.54
N 4.21105 1.61214 0.85609 -0.38
P 0.95203 0.27775 0.74081 0.18
S -0.01973 -1.44046 1.04663 -0.03
H 5.33018 -3.12620 1.96194 0.06
H 4.77126 -1.46646 1.94160 0.07
H 6.26010 -1.89730 1.13944 0.06
H 5.12370 -2.27529 -0.77215 0.09
H 4.17015 -3.54975 0.02530 0.12
H 3.31579 -2.08327 -2.02542 0.02
H 1.80388 -2.36607 -1.12704 0.02
H 2.45736 -0.64876 -4.53560 -0.27
H 0.00540 -1.48518 -2.49390 0.05
H 0.34351 -0.33855 -3.76892 0.01
H -1.68336 0.38100 -3.35535 0.10
H -0.98033 1.35170 -2.08483 0.09
H -5.31488 -0.13905 0.26926 0.03
H -3.99363 -1.17240 0.81546 0.01
H -4.88492 -1.54262 -0.65290 0.03
H -5.23453 1.50081 -2.21190 0.02
H -4.60038 0.16519 -3.18313 0.03
H -3.70223 1.67427 -3.09725 0.02
H -3.42656 1.88768 0.96688 0.02
H -1.85966 1.85976 0.21767 0.00
H -3.13001 2.82086 -0.50862 0.02
H 1.78077 4.08667 -2.81116 0.11
H 3.14185 3.00552 -2.72287 0.05
H 3.75990 3.84383 -0.72845 0.09
H 2.89833 5.99615 -0.04071 0.08
H 3.23118 5.93759 -1.76858 0.08
H 1.56047 5.85638 -1.18338 0.08
H 2.64052 3.41319 0.94367 0.07
H 5.18593 0.03113 -0.83676 -0.06
H 4.91905 2.15703 -1.43630 -0.06
H 4.77153 0.98821 1.42608 -0.07
H 1.96313 0.34740 1.71181 -0.11
H 0.13345 1.39257 1.02620 -0.11
C -4.78046 -4.75626 3.57572 -0.11
C -5.45468 -4.22961 4.66890 -0.11
C -5.16291 -2.94672 5.11049 -0.11
C -4.20245 -2.18880 4.45402 -0.09
C -3.53007 -2.71397 3.35941 -0.09
C -3.81727 -3.99922 2.92268 -0.09
H -5.00587 -5.75818 3.23220 0.09
H -6.20764 -4.81944 5.17699 0.09
H -5.68460 -2.53696 5.96654 0.09
H -3.97693 -1.18662 4.79529 0.10
H -2.78009 -2.12347 2.84490 0.08
H -3.28878 -4.40856 2.07164 0.10
```

Summary:
Frontier orbital gap   5.632 eV